Next, write out the lines further below up to the one that holds "0.067 0.935", that line included.

~~~
Record 1
A plane-wave DFT calculation with GGA-PBE was carried out for RbAsRuCl2 after structural relaxation.

```
5
Lattice="-5.147 1.323 1.902 -0.529 -4.362 1.604 2.227 1.550 4.950" Properties=species:S:1:pos:R:3 pbc="T T T"
As 0.000 0.000 0.000
Rb -1.724 -0.745 4.228
Cl 1.114 0.775 2.475
Cl -2.574 0.661 0.951
Ru -0.264 -2.181 0.802
```

Summary:
Space-group type: P4/mmm
Formation energy from raw total energies, eV/atom: -0.158
DFT total energy, eV/atom: -3.87



Record 2
A plane-wave DFT calculation with GGA-PBE was carried out for AgGe3Br after structural relaxation.

```
5
Lattice="5.167 0.000 0.000 0.000 5.167 0.000 0.000 0.000 5.167" Properties=species:S:1:pos:R:3 pbc="T T T"
Ge 0.000 0.000 2.583
Ge 2.583 0.000 0.000
Ge 0.000 2.583 0.000
Br 0.000 0.000 0.000
Ag 2.583 2.583 2.583
```

Summary:
Space-group type: Pm-3m
Formation energy from raw total energies, eV/atom: 1.009
Polymorph energy (0 for the lowest one), meV/atom: 370.0
DFT total energy, eV/atom: -2.67

=====

(P)
The following is a PBE calculation of TlCoPb2 after structural relaxation, from Alexandria via LeMat-Bulk.

Cell lengths 7.603, 5.432, 3.524 Å; angles 90.62, 61.38, 122.98 degrees
Last column: magnetic moment on the atom in μB.
Atoms (fractional coordinates):
Tl: 0.000 0.500 0.500  0.00
Pb: 0.000 0.000 0.000  -0.02
Pb: 0.500 0.000 0.500  -0.02
Co: 0.500 0.500 0.000  1.71

The value obtained for the size of the total moment is 0.41 μB/atom. Its density of states at the Fermi level is 6.7 states/eV/f.u.

---

(Q)
The following is a PBE calculation of TlCoPb2 after structural relaxation, from Alexandria via LeMat-Bulk.

Cell lengths 7.671, 7.671, 4.409 Å; angles 73.30, 73.30, 24.56 degrees
Last column: magnetic moment on the atom in μB.
Atoms (fractional coordinates):
Pb: 0.079 0.079 0.921  -0.02
Pb: 0.255 0.255 0.245  -0.01
Co: 0.738 0.738 0.762  0.89
Tl: 0.428 0.428 0.572  -0.01

The value obtained for the size of the total moment is 0.20 μB/atom. Its density of states at the Fermi level is 3.0 states/eV/f.u.

---

Which structure loses on stability? (P) does.

---

(P)
The following is a PBE calculation of TlCoPb2 after structural relaxation, from Alexandria via LeMat-Bulk.

Cell lengths 7.317, 7.317, 7.317 Å; angles 154.54, 143.84, 44.74 degrees
Last column: magnetic moment on the atom in μB.
Atoms (fractional coordinates):
Co: 0.250 0.750 0.500  0.57
Tl: 0.750 0.250 0.500  -0.02
Pb: 0.424 0.424 0.000  -0.01
Pb: 0.076 0.076 0.000  -0.01

The value obtained for the size of the total moment is 0.12 μB/atom. Its density of states at the Fermi level is 3.0 states/eV/f.u.

---

(Q)
The following is a PBE calculation of TlCoPb2 after structural relaxation, from Alexandria via LeMat-Bulk.

Cell lengths 3.341, 3.344, 9.476 Å; angles 69.68, 90.00, 90.00 degrees
Last column: magnetic moment on the atom in μB.
Atoms (fractional coordinates):
Pb: 0.000 0.433 0.565  -0.01
Pb: 0.000 0.067 0.935  -0.01
Tl: 0.500 0.250 0.250  0.03
Co: 0.500 0.750 0.750  1.15

The value obtained for the size of the total moment is 0.30 μB/atom. Its density of states at the Fermi level is 2.4 states/eV/f.u.

---

(R)
The following is a PBE calculation of TlCoPb2 after structural relaxation, from Alexandria via LeMat-Bulk.

Cell lengths 4.781, 4.781, 4.424 Å; angles 90.00, 90.00, 90.00 degrees
Last column: magnetic moment on the atom in μB.
Atoms (fractional coordinates):
Pb: 0.000 0.000 0.000  0.00
Pb: 0.500 0.500 0.000  0.00
Co: 0.000 0.500 0.500  1.76
Tl: 0.500 0.000 0.500  0.01

The value obtained for the size of the total moment is 0.44 μB/atom. Its density of states at the Fermi level is 5.9 states/eV/f.u.

---

Which structure loses on stability? (R) does.

---

(P)
The following is a PBE calculation of Tm2CoPb after structural relaxation, from Alexandria via LeMat-Bulk.

Cell lengths 4.379, 6.729, 13.083 Å; angles 96.11, 90.00, 90.00 degrees
Atoms (fractional coordinates):
Pb: 0.750 0.749 0.601
Pb: 0.250 0.251 0.399
Pb: 0.250 0.249 0.101
Pb: 0.750 0.751 0.899
~~~

Record 1
A plane-wave DFT calculation with GGA-PBE was carried out for RbAsRuCl2 after structural relaxation.

```
5
Lattice="-5.147 1.323 1.902 -0.529 -4.362 1.604 2.227 1.550 4.950" Properties=species:S:1:pos:R:3 pbc="T T T"
As 0.000 0.000 0.000
Rb -1.724 -0.745 4.228
Cl 1.114 0.775 2.475
Cl -2.574 0.661 0.951
Ru -0.264 -2.181 0.802
```

Summary:
Space-group type: P4/mmm
Formation energy from raw total energies, eV/atom: -0.158
DFT total energy, eV/atom: -3.87



Record 2
A plane-wave DFT calculation with GGA-PBE was carried out for AgGe3Br after structural relaxation.

```
5
Lattice="5.167 0.000 0.000 0.000 5.167 0.000 0.000 0.000 5.167" Properties=species:S:1:pos:R:3 pbc="T T T"
Ge 0.000 0.000 2.583
Ge 2.583 0.000 0.000
Ge 0.000 2.583 0.000
Br 0.000 0.000 0.000
Ag 2.583 2.583 2.583
```

Summary:
Space-group type: Pm-3m
Formation energy from raw total energies, eV/atom: 1.009
Polymorph energy (0 for the lowest one), meV/atom: 370.0
DFT total energy, eV/atom: -2.67

=====

(P)
The following is a PBE calculation of TlCoPb2 after structural relaxation, from Alexandria via LeMat-Bulk.

Cell lengths 7.603, 5.432, 3.524 Å; angles 90.62, 61.38, 122.98 degrees
Last column: magnetic moment on the atom in μB.
Atoms (fractional coordinates):
Tl: 0.000 0.500 0.500  0.00
Pb: 0.000 0.000 0.000  -0.02
Pb: 0.500 0.000 0.500  -0.02
Co: 0.500 0.500 0.000  1.71

The value obtained for the size of the total moment is 0.41 μB/atom. Its density of states at the Fermi level is 6.7 states/eV/f.u.

---

(Q)
The following is a PBE calculation of TlCoPb2 after structural relaxation, from Alexandria via LeMat-Bulk.

Cell lengths 7.671, 7.671, 4.409 Å; angles 73.30, 73.30, 24.56 degrees
Last column: magnetic moment on the atom in μB.
Atoms (fractional coordinates):
Pb: 0.079 0.079 0.921  -0.02
Pb: 0.255 0.255 0.245  -0.01
Co: 0.738 0.738 0.762  0.89
Tl: 0.428 0.428 0.572  -0.01

The value obtained for the size of the total moment is 0.20 μB/atom. Its density of states at the Fermi level is 3.0 states/eV/f.u.

---

Which structure loses on stability? (P) does.

---

(P)
The following is a PBE calculation of TlCoPb2 after structural relaxation, from Alexandria via LeMat-Bulk.

Cell lengths 7.317, 7.317, 7.317 Å; angles 154.54, 143.84, 44.74 degrees
Last column: magnetic moment on the atom in μB.
Atoms (fractional coordinates):
Co: 0.250 0.750 0.500  0.57
Tl: 0.750 0.250 0.500  -0.02
Pb: 0.424 0.424 0.000  -0.01
Pb: 0.076 0.076 0.000  -0.01

The value obtained for the size of the total moment is 0.12 μB/atom. Its density of states at the Fermi level is 3.0 states/eV/f.u.

---

(Q)
The following is a PBE calculation of TlCoPb2 after structural relaxation, from Alexandria via LeMat-Bulk.

Cell lengths 3.341, 3.344, 9.476 Å; angles 69.68, 90.00, 90.00 degrees
Last column: magnetic moment on the atom in μB.
Atoms (fractional coordinates):
Pb: 0.000 0.433 0.565  -0.01
Pb: 0.000 0.067 0.935  -0.01